### Job
Work out how many lines below have the word "system" in them; a number is enough.
### Excerpt
┌──
First-principles (PBE-GGA) data for a relaxed structure of KINO2, as listed in Alexandria.

Summary:
E_tot ... -2.643 eV/atom
Crystal system ... tetragonal
Total magnetic moment ... 5.64 μB per cell
ΔE_f (raw) ... 1535 meV per atom
Calculated volume ... 198.5 Å³/cell
Symmetry ... P4/mmm (123)

Lattice parameters (Å, degrees): 5.260 5.260 7.175 90.00 90.00 90.00
Each line ends with the local moment (μB).
Element x y z (fractional)
O  0.500  0.000  0.000  1.26
K  0.000  0.000  0.000  -0.01
O  0.000  0.500  0.000  1.26
N  0.500  0.500  0.500  1.87
I  0.000  0.000  0.500  -0.26
└──
### Written answer
1